Q: My 3-year-old is fascinated with evil characters. Whenever he plays make-believe, he always takes on the role of the villain; the only action figures he wants are the "bad guys." We've made big changes to our movie and TV viewing habits, but nothing has changed. How should we address this?
Jim: I don't think there's reason to be overly concerned -- yet -- about your three-year-old's interest in villains. Many young kids are fascinated with "bad guys." If your son is like most, this phase will eventually pass.
(Next to the article, the page also holds materials data)
-- begin --
Record 1
Compound: Sn3H6CNO7
Source: the Materials Project database
Functional: PBE
Structure: relaxed

```
data_Sn3H6CNO7
_cell_length_a 11.470
_cell_length_b 6.423
_cell_length_c 15.049
_cell_angle_alpha 90.00
_cell_angle_beta 122.05
_cell_angle_gamma 90.00
_symmetry_space_group_name_H-M 'P 1 21/c 1'
_symmetry_Int_Tables_number 14
_symmetry_space_group_name_Hall '-P 2ybc'
loop_
_atom_site_label
_atom_site_fract_x
_atom_site_fract_y
_atom_site_fract_z
Sn1 0.092 0.037 0.322
Sn2 0.096 0.204 0.078
Sn3 0.185 0.732 0.190
H1 0.339 0.621 0.539
H2 0.391 0.514 0.084
H3 0.437 0.659 0.191
H4 0.443 0.064 0.333
H5 0.459 0.718 0.507
H6 0.483 0.061 0.878
C1 0.444 0.681 0.571
N1 0.460 0.628 0.132
O1 0.044 0.018 0.625
O2 0.072 0.735 0.269
O3 0.100 0.638 0.541
O4 0.160 0.059 0.217
O5 0.253 0.180 0.581
O6 0.264 0.126 0.443
O7 0.378 0.708 0.269
```

Calculated values
DFT total energy: -393.042 eV/cell
E_form: -1.027 eV per atom

---

Record 2
Compound: TbH9C5N2O8
Source: the Materials Project database
Functional: PBE
Structure: relaxed

```
data_TbH9C5N2O8
_cell_length_a 11.321
_cell_length_b 7.311
_cell_length_c 6.680
_cell_angle_alpha 90.00
_cell_angle_beta 107.42
_cell_angle_gamma 90.00
_symmetry_space_group_name_H-M 'C 1 2 1'
_symmetry_Int_Tables_number 5
_symmetry_space_group_name_Hall 'C 2y'
loop_
_atom_site_label
_atom_site_fract_x
_atom_site_fract_y
_atom_site_fract_z
Tb1 0.000 0.000 0.000
H1 0.000 0.081 0.500
H2 0.012 0.451 0.182
H3 0.126 0.608 0.460
H4 0.188 0.643 0.880
H5 0.221 0.422 0.579
C1 0.000 0.931 0.500
C2 0.088 0.375 0.294
C3 0.236 0.704 0.036
N1 0.151 0.475 0.456
O1 0.005 0.849 0.334
O2 0.108 0.211 0.263
O3 0.152 0.162 0.878
O4 0.174 0.813 0.114
```

Calculated values
DFT total energy: -325.488 eV/cell
E_form: -1.227 eV per atom

---

Record 3
Compound: ThH28C12N12O18
Source: the Materials Project database
Functional: PBE
Structure: relaxed

```
data_ThH28C12N12O18
_cell_length_a 19.877
_cell_length_b 12.282
_cell_length_c 13.224
_cell_angle_alpha 90.00
_cell_angle_beta 118.64
_cell_angle_gamma 90.00
_symmetry_space_group_name_H-M 'C 1 2/c 1'
_symmetry_Int_Tables_number 15
_symmetry_space_group_name_Hall '-C 2yc'
loop_
_atom_site_label
_atom_site_fract_x
_atom_site_fract_y
_atom_site_fract_z
Th1 0.000 0.051 0.250
H1 0.021 0.433 0.143
H2 0.025 0.439 0.866
H3 0.060 0.283 0.448
H4 0.146 0.477 0.726
H5 0.148 0.411 0.002
H6 0.158 0.306 0.545
H7 0.161 0.121 0.758
H8 0.161 0.129 0.990
H9 0.164 0.335 0.756
H10 0.186 0.062 0.531
H11 0.209 0.478 0.570
H12 0.226 0.398 0.352
H13 0.228 0.177 0.747
H14 0.230 0.220 0.088
C1 0.037 0.214 0.810
C2 0.039 0.030 0.533
C3 0.095 0.441 0.468
C4 0.102 0.263 0.228
C5 0.165 0.187 0.317
C6 0.245 0.438 0.869
N1 0.027 0.482 0.393
N2 0.104 0.335 0.494
N3 0.155 0.492 0.020
N4 0.179 0.415 0.775
N5 0.210 0.143 0.066
N6 0.235 0.042 0.605
O1 0.034 0.220 0.178
O2 0.064 0.302 0.862
O3 0.066 0.071 0.473
O4 0.066 0.119 0.846
O5 0.069 0.032 0.642
O6 0.118 0.358 0.213
O7 0.140 0.102 0.344
O8 0.203 0.175 0.794
O9 0.234 0.214 0.355
```
-- stop --
In fact, making a big deal out of the issue might actually delay the process of getting past it. Your son could be thriving on the negative attention he's getting by focusing on this issue. Kids will do almost anything for attention -- positive or negative -- especially if they're feeling neglected. The best approach is to ignore this villain business and concentrate on affirming your boy for interests that are more positive.
That said, a word of caution: If your son is mimicking the behavior of the evil characters and acting out in inappropriate ways, you'll need to nip that in the bud. Don't allow him to become aggressive or hurtful in his interactions with you, his siblings or other children.
## MgO2 (GGA-PBE)

Data for a relaxed structure of MgO2.

Lattice parameters (Å, degrees): 3.427 3.427 3.935 85.60 85.60 53.65
Fractional coordinates of all 3 atoms:
Mg 0.000 0.000 0.000
O 0.313 0.313 0.795
O 0.687 0.687 0.205

Summary:
Meanwhile, remember that you can use fictional children's characters to teach your child about virtuous character traits. Contrast between the "good guys" and the "bad guys." For example, you can ask your son, "Which character is more honest?" Then discuss the consequences of dishonesty. In the same way, you could ask, "Who is more helpful to other people?" This way you can direct the conversation into channels affirming positive virtues and actions.
Our counseling team would be happy to help if you'd like to unpack these thoughts in greater detail; call 855-771-HELP (4357).
Q: I married my husband basically for pragmatic reasons -- as a single mom at the time, I thought he'd be a great father to my child. Now I realize that I never really had romantic feelings for him. Is there hope for our relationship?
Dr. Greg Smalley, Vice President, Marriage & Family Formation: The short answer to your question is yes: You can learn to love your husband with the kind of love that really lasts.
I say this for two reasons. First, in cultures where marriages are arranged, couples often learn to love one another deeply although their relationships weren't originally based on romantic feelings. Real love isn't primarily a matter of the emotions -- it's an act of the will. Feelings generally follow in the wake of intentional, deliberate actions; they grow out of commitment, perseverance and hard work.
The second reason gives me even more reason for hope. You apparently WANT to fall in love with your husband -- otherwise, you wouldn't have asked the question in the first place. So you've already taken an important step in the right direction.
Continue making progress by asking yourself what attracted you to your husband at the beginning of your relationship. The two of you felt an emotional connection at some level, even if it was only because of the kindness he displayed toward your child. Something about this man led you to believe life with him would be better than life without him. That spark may have diminished over time, but it can still be found and fanned into flame if you're willing to put forth the effort. You just have to take the time to dig down beneath the ashes.
Yes, it will take work -- but it's worth it. As Jim noted above, our counselors would be honored to help you start. I wish you the best.
Jim Daly is a husband and father, an author, and president of Focus on the Family and host of the Focus on the Family radio program. Catch up with him at www.jimdalyblog.com or at www.facebook.com/DalyFocus.